-- Input --
........
An optimized crystal structure of Ho4MgCo, computed with PBE.

ΔH_f (0 K): -0.926 eV/f.u.
crystal system: cubic
electronic total energy: -4.66 eV/atom

a b c (Å): 13.5005 13.5005 13.5005
angles (deg): 90.00 90.00 90.00
Last column: nearest neighbours and their distance in Å.
Space group F-43m (No. 216)
One atom of each set of equivalent atoms:
Ho 0.0000 0.0000 0.1860 x24  2 Co 2.76
Ho 0.0632 0.2500 0.2500 x24  2 Mg 3.27, 2 Co 3.45, 10 Ho 3.46-3.59
Ho 0.1550 0.1550 0.6550 x16  3 Co 2.77
Mg 0.0790 0.0790 0.4210 x16  3 Mg 3.02, 3 Ho 3.27
Co 0.1410 0.1410 0.8590 x16  6 Ho 2.76-2.77



An optimized crystal structure of Na8Mg2In2Si3S3O24, computed with PBE.

ΔH_f (0 K): -100.802 eV/f.u.
crystal system: triclinic
electronic total energy: -5.98 eV/atom
spin magnetization: 0.00 μB per cell

a b c (Å): 9.2079 9.2108 22.4061
angles (deg): 89.06 88.63 60.52
Last column: nearest neighbours and their distance in Å.
Space group P1 (No. 1)
One atom of each set of equivalent atoms:
Na 0.0000 0.0000 0.0000 x1  4 O 2.44-2.72
Na 0.0003 0.2676 0.5021 x1  5 O 2.39-2.66
Na 0.0064 0.6315 0.7643 x1  2 O 2.26-2.28
Na 0.0264 0.3261 0.1775 x1  5 O 2.47-2.65
Na 0.0410 0.9671 0.6673 x1  4 O 2.40-2.68
Na 0.2902 0.3101 0.6830 x1  3 O 2.24-2.45
Na 0.3120 0.9960 0.5893 x1  3 O 2.31-2.52
Na 0.3227 0.6820 0.1554 x1  3 O 2.37-2.63
Na 0.3331 0.3325 0.3318 x1  5 O 2.45-2.74
Na 0.3427 0.6088 0.8536 x1  4 O 2.38-2.61
Na 0.3541 0.6629 0.5046 x1  6 O 2.42-2.68
Na 0.3625 0.9571 0.0821 x1  3 O 2.33-2.45
Na 0.3853 0.2870 0.9926 x1  4 O 2.41-2.52
Na 0.6250 0.6579 0.0051 x1  5 O 2.41-2.68
Na 0.6487 0.3287 0.9238 x1  4 O 2.36-2.59
Na 0.6543 0.0148 0.4905 x1  3 O 2.37-2.60
Na 0.6658 0.9348 0.1673 x1  4 O 2.36-2.58
Na 0.6781 0.6708 0.6868 x1  1 O 2.27
Na 0.6927 0.9772 0.8503 x1  4 O 2.43-2.67
Na 0.6965 0.2905 0.4153 x1  3 O 2.33-2.46
Na 0.7199 0.6208 0.3246 x1  4 O 2.40-2.53
Na 0.9605 0.9917 0.3431 x1  5 O 2.41-2.63
Na 0.9729 0.3725 0.8350 x1  3 O 2.44-2.48
Na 0.9809 0.6497 0.2548 x1  4 O 2.43-2.69
Mg 0.0028 0.6572 0.9033 x1  6 O 2.00-2.23
Mg 0.3400 0.9952 0.7439 x1  3 O 1.93-2.06
Mg 0.3483 0.9858 0.2381 x1  4 O 1.95-2.17
Mg 0.6549 0.3356 0.0640 x1  5 O 1.99-2.16
Mg 0.6971 0.2996 0.5691 x1  3 O 1.94-2.06
Mg 0.9904 0.6639 0.3975 x1  5 O 2.00-2.16
In 0.0032 0.6519 0.5999 x1  5 O 2.04-2.27
In 0.3250 0.9963 0.4279 x1  4 O 2.04-2.21
In 0.3576 0.9752 0.9348 x1  4 O 2.04-2.15
In 0.6731 0.3268 0.7711 x1  6 O 2.06-2.31
In 0.6812 0.3172 0.2683 x1  5 O 2.05-2.27
In 0.9901 0.6602 0.0945 x1  4 O 2.04-2.21
Si 0.0069 0.9458 0.5009 x1  4 O 1.62-1.69
Si 0.0369 0.2894 0.3351 x1  4 O 1.63-1.67
Si 0.2979 0.6539 0.0013 x1  4 O 1.62-1.68
Si 0.3340 0.2887 0.8334 x1  4 O 1.63-1.68
Si 0.6364 0.9848 0.3347 x1  4 O 1.61-1.68
Si 0.6384 0.6860 0.8327 x1  4 O 1.64-1.67
Si 0.6694 0.6180 0.1673 x1  4 O 1.62-1.69
Si 0.7031 0.9603 0.0027 x1  4 O 1.63-1.67
Si 0.9755 0.3146 0.6649 x1  4 O 1.63-1.70
S 0.0034 0.3518 0.0024 x1  4 O 1.48-1.51
S 0.0452 0.9817 0.8337 x1  4 O 1.48-1.50
S 0.3071 0.3538 0.5029 x1  4 O 1.48-1.50
S 0.3351 0.6875 0.3363 x1  4 O 1.47-1.51
S 0.3753 0.6120 0.6653 x1  4 O 1.48-1.51
S 0.3757 0.3164 0.1697 x1  4 O 1.47-1.51
S 0.6677 0.0245 0.6668 x1  4 O 1.48-1.51
S 0.7034 0.6498 0.5028 x1  4 O 1.48-1.51
S 0.9728 0.0179 0.1692 x1  4 O 1.47-1.51
O 0.0283 0.4713 0.3416 x1  1 Si 1.65
O 0.0325 0.8279 0.8386 x1  1 S 1.48
O 0.0375 0.4191 0.0583 x1  1 S 1.51
O 0.0433 0.8347 0.5642 x1  1 Si 1.68
O 0.1003 0.1784 0.3983 x1  1 Si 1.67
O 0.1178 0.0119 0.8876 x1  1 S 1.49
O 0.1392 0.0078 0.1741 x1  1 S 1.49
O 0.1465 0.9661 0.7789 x1  1 S 1.49
O 0.1495 0.1817 0.9959 x1  1 S 1.49
O 0.1566 0.1898 0.2784 x1  1 Si 1.63
O 0.1599 0.1468 0.6714 x1  1 Si 1.65
O 0.1747 0.4766 0.8401 x1  1 Si 1.63
O 0.1811 0.9628 0.4985 x1  1 Si 1.69
O 0.1832 0.6718 0.3434 x1  1 S 1.48
O 0.1934 0.6775 0.0660 x1  1 Si 1.68
O 0.2023 0.6331 0.6645 x1  1 S 1.51
O 0.2032 0.4271 0.5585 x1  1 S 1.50
O 0.2039 0.6264 0.9463 x1  1 Si 1.62
O 0.2061 0.4672 0.1661 x1  1 S 1.50
O 0.2232 0.4553 0.4500 x1  1 S 1.48
O 0.3032 0.8324 0.9994 x1  1 Si 1.67
........

-- Activity --
Return the lines earlier on up to the one that holds "2.38-2.61", that line included, please.

-- Solution --
An optimized crystal structure of Ho4MgCo, computed with PBE.

ΔH_f (0 K): -0.926 eV/f.u.
crystal system: cubic
electronic total energy: -4.66 eV/atom

a b c (Å): 13.5005 13.5005 13.5005
angles (deg): 90.00 90.00 90.00
Last column: nearest neighbours and their distance in Å.
Space group F-43m (No. 216)
One atom of each set of equivalent atoms:
Ho 0.0000 0.0000 0.1860 x24  2 Co 2.76
Ho 0.0632 0.2500 0.2500 x24  2 Mg 3.27, 2 Co 3.45, 10 Ho 3.46-3.59
Ho 0.1550 0.1550 0.6550 x16  3 Co 2.77
Mg 0.0790 0.0790 0.4210 x16  3 Mg 3.02, 3 Ho 3.27
Co 0.1410 0.1410 0.8590 x16  6 Ho 2.76-2.77



An optimized crystal structure of Na8Mg2In2Si3S3O24, computed with PBE.

ΔH_f (0 K): -100.802 eV/f.u.
crystal system: triclinic
electronic total energy: -5.98 eV/atom
spin magnetization: 0.00 μB per cell

a b c (Å): 9.2079 9.2108 22.4061
angles (deg): 89.06 88.63 60.52
Last column: nearest neighbours and their distance in Å.
Space group P1 (No. 1)
One atom of each set of equivalent atoms:
Na 0.0000 0.0000 0.0000 x1  4 O 2.44-2.72
Na 0.0003 0.2676 0.5021 x1  5 O 2.39-2.66
Na 0.0064 0.6315 0.7643 x1  2 O 2.26-2.28
Na 0.0264 0.3261 0.1775 x1  5 O 2.47-2.65
Na 0.0410 0.9671 0.6673 x1  4 O 2.40-2.68
Na 0.2902 0.3101 0.6830 x1  3 O 2.24-2.45
Na 0.3120 0.9960 0.5893 x1  3 O 2.31-2.52
Na 0.3227 0.6820 0.1554 x1  3 O 2.37-2.63
Na 0.3331 0.3325 0.3318 x1  5 O 2.45-2.74
Na 0.3427 0.6088 0.8536 x1  4 O 2.38-2.61